Thursday, September 15, 2011

Unrelated to this text: data records.
Formula: C32H80AsF6N4O4
Source: OMol25
Level of theory: ωB97M-V/def2-TZVPD

Spin multiplicity: 1
Total charge: +3
Lowest unoccupied orbital energy (eV): -5.793
Highest occupied orbital energy (eV): -15.3
Energy relative to the best compared isomer or geometry (same formula, charge and spin) (kcal per mole): 0.0

Last column: Mulliken charge in e.
Geometry (Å):
C -8.19991 0.97888 -3.84284  -1.39
C -6.93560 0.64164 -3.10489  -0.29
N -7.03440 -0.24944 -1.81761  0.39
C -7.50305 0.60048 -0.59748  -0.87
C -8.06244 -1.38614 -2.11235  -0.39
C -8.35692 -2.33091 -0.96443  -1.23
C -5.64195 -0.93523 -1.65333  -0.66
C -4.37767 -0.01031 -1.46139  -0.15
O -4.07589 0.58534 -2.66679  -0.30
C -2.97970 1.50132 -2.73320  -0.60
H -8.97340 1.28882 -3.14017  0.32
H -8.41702 0.09973 -4.44952  0.38
H -7.99997 1.82201 -4.50409  0.41
H -6.39307 1.55910 -2.87675  0.38
H -6.41119 0.11267 -3.90069  0.33
H -7.76036 0.04487 0.30429  0.34
H -8.33031 1.23293 -0.91957  0.32
H -6.69548 1.33061 -0.54398  0.39
H -7.56705 -1.85820 -2.96079  0.44
H -8.99478 -0.96738 -2.49113  0.40
H -8.80690 -1.86769 -0.08635  0.32
H -7.39134 -2.72371 -0.64592  0.30
H -9.01867 -3.16023 -1.21428  0.42
H -5.42981 -1.78628 -2.30048  0.43
H -5.75507 -1.43820 -0.69295  0.45
H -3.57760 -0.66252 -1.11125  -0.16
H -4.45991 0.71786 -0.65448  0.34
H -2.04637 0.94308 -2.66010  0.26
H -2.94069 2.18976 -1.88904  0.10
H -2.88042 2.09616 -3.64118  0.36
C -2.27589 4.95143 -0.03525  -1.36
C -1.79706 4.10433 1.18325  0.18
N -0.85156 4.88724 2.17627  0.28
C -1.77283 5.85116 2.93397  -1.05
C -0.24127 3.83410 3.17983  -0.18
C -1.23620 2.91856 3.90846  -1.18
C 0.31754 5.48659 1.39163  -0.21
C 1.42014 6.05566 2.34483  -1.11
O 0.98794 7.22074 2.96019  -0.31
C 2.07084 7.95843 3.46663  -0.82
H -3.11360 4.43402 -0.50282  0.38
H -1.45966 5.08667 -0.74488  0.30
H -2.58024 5.93666 0.31802  0.38
H -1.17647 3.28460 0.82133  -0.21
H -2.57607 3.57970 1.73643  0.50
H -1.94301 6.71773 2.29506  0.42
H -1.20603 6.22887 3.78496  0.40
H -2.68126 5.35679 3.27811  0.38
H 0.36734 4.42490 3.86442  0.57
H 0.39230 3.19023 2.56981  0.17
H -1.12074 1.96212 3.39855  0.23
H -2.30224 3.13570 3.84127  0.28
H -1.00504 2.86751 4.97244  0.34
H -0.05254 6.33501 0.81602  0.46
H 0.75674 4.72997 0.74146  0.18
H 2.24008 6.34933 1.68944  0.56
H 1.92496 5.41627 3.06900  0.49
H 2.65510 7.39988 4.19791  0.33
H 1.69675 8.90699 3.85181  0.28
H 2.72000 8.33244 2.67491  0.34
C 1.91857 -3.49820 2.93045  -1.26
C 1.24976 -3.24559 1.50420  -0.55
N -0.08285 -4.02552 1.25621  0.45
C -1.11374 -3.59603 2.29724  -1.20
C -0.59183 -3.81198 -0.20753  -0.48
C -1.14676 -2.37487 -0.52701  -1.15
C 0.02644 -5.58397 1.43284  -0.68
C 0.89473 -6.33224 0.33699  -0.77
O 2.22550 -5.77887 0.17012  -0.20
C 3.21144 -6.54413 0.81924  -0.82
H 1.20827 -3.22048 3.70920  0.41
H 2.83927 -2.95432 3.14159  0.37
H 2.30507 -4.51737 2.93430  0.23
H 2.00346 -3.38030 0.72840  0.34
H 0.93632 -2.20257 1.54841  0.41
H -2.06044 -3.92600 1.86948  0.43
H -1.09778 -2.51075 2.39733  0.37
Back to the text.

Physical Feel

I've suddenly become very interested in physical games. Not like board games, but like these.

There are a lot of amazing things you can do with physical games that you can't do with a genericized controller, from the "snap" of the box closing itself when you lose to the feel of moving your body in the game's physical space. Even something as simple as those tiltable wooden "marble labyrinths" have a more immersive feel to them than their virtual variants.

It's fun to think of the cool things you could make. For example, that karate-chop game looks pretty amenable to modular design. You could have a lot of different modules and, as the game progresses, it demands that you put more modules on the base unit, to have more complex interactions.

But, being that my skills at actual electronics are nonexistent, I have to stay pretty much in the software world. This got me thinking about how you can add that kind of depth, sharpness, and immersiveness to a game using a much more generic controller (for example, keyboard or 360 controller).

Some games have done a pretty good job: Katamari Damacy probably reigns supreme at this, although I suppose the Kinect has bred some challengers. But I'd love to hear about others. What games can you think of that have interesting and immersive controls? How would you implement such a thing?

1 comment:

Anonymous said...

I think the magic behind physical, almost toy "feel" of some digital games emerges when game world works in accordance to real world physical logic. The fun probably emerges from recognizing and predicting game world changes by observing it and interacting with it.

I think there's two ways to foster such physical "conformity".

First is, as you said, to implement controls that logically correspond to things happening on screen.
Besides Katamari good example would be Robot Alchemic Drive for PS2, where robot's legs and arms are controlled separately by four triggers and both analog sticks.
It doesn't conform to "you moving legs and arms", but conforms to "you controlling giant robot and making him move". Protagonist is even shown using remote control similar to PS2 controller.

The other way for achieving "toy" feel, I think, is to implement game world logic recognizable as real world laws. It's "physics" and it's why "put the can in the trash can" is fun. Without depth it's only fun first time though, so it looks like only physical systems that are complex enough (Populous, Vangers, Stair/Truck Dismount) can preserve toy feel. But upside here is that we don't even need to change conventional control scheme to make them feel "physical".